Village restaurants try to sustain business amid statewide COVID-19 restriction

Michael Hicks, director of Ball State’s Center for Business and Economic Research (CBER), said the COVID-19 pandemic is “the most rapidly, and likely deep, economic crisis” since World War II.

Hicks said he doesn’t have many tips for small businesses that are financially impacted by the pandemic but suggested the following:

  • Talk to your bank, and see if you can have two- to three-month loan repayment delays.
  • Talk to your landlords and other creditors about similar delays.
  • Find a way to remain connected to the employees you had to lay off and customers who are anxious to return.

Data records from another source follow:
********
This entry pairs a crystal structure of TbPm6In with its theoretical X-ray diffraction stick pattern. Radiation: Cu Kα (λ = 1.5418 Å). Structure: the GGA-PBE geometry in Alexandria.
Kinematic intensities with the Lorentz-polarization factor, no thermal factor.

The 10 most intense peaks (10° ≤ 2θ ≤ 80°), in order of rising 2θ:
(1 1 2), 2θ 30.7, rel. 100; (0 0 4), 2θ 34.9, rel. 18; (2 0 0), 2θ 35.9, rel. 33; (2 0 4), 2θ 51.0, rel. 24; (2 2 0), 2θ 51.7, rel. 12; (1 1 6), 2θ 60.0, rel. 14; (3 1 2), 2θ 61.4, rel. 28; (2 2 4), 2θ 63.9, rel. 12; (0 0 8), 2θ 73.7, rel. 2; (4 0 0), 2θ 76.2, rel. 4

Crystal structure
```
TbPm6In
1.0
4.998 0.000 0.000
0.000 4.998 0.000
0.000 0.000 10.284
Tb Pm In
1 6 1
direct
0.000 0.000 0.000 Tb
0.000 0.500 0.257 Pm
0.000 0.500 0.743 Pm
0.500 0.000 0.257 Pm
0.500 0.000 0.743 Pm
0.500 0.500 0.000 Pm
0.500 0.500 0.500 Pm
0.000 0.000 0.500 In
```


Diffraction record for Ce6IrPb2N. The powder diffraction line list is simulated, not measured: it uses the PBE geometry in Alexandria and λ = 1.5418 Å (Cu Kα).
Peak positions follow from Bragg's law for the DFT cell and can differ from measured ones.

Largest 6 diffraction maxima, most intense first, 2θ = 10–90°:
- 2θ = 29.69°, intensity 100, (1 1 2)
- 2θ = 34.41°, intensity 99, (2 0 0)
- 2θ = 49.46°, intensity 68, (2 2 0)
- 2θ = 58.75°, intensity 40, (3 1 2)
- 2θ = 82.82°, intensity 29, (4 2 0)
- 2θ = 24.15°, intensity 28, (1 0 2)

Cell: 5.213 5.213 10.424 Å, 90.00 90.00 90.00°
Fractional coordinates of all 10 atoms:
Ce (0.000, 0.000, 0.222)
Ce (0.000, 0.000, 0.778)
Ce (0.000, 0.500, 0.000)
Ce (0.000, 0.500, 0.500)
Ce (0.500, 0.000, 0.000)
Ce (0.500, 0.000, 0.500)
Ir (0.000, 0.000, 0.500)
Pb (0.500, 0.500, 0.240)
Pb (0.500, 0.500, 0.760)
N (0.000, 0.000, 0.000)


Diffraction record for Li2InBiCl6. The X-ray diffraction stick pattern is calculated, not measured: it uses the GGA-PBE geometry in Alexandria and a wavelength of 1.5418 Å.

Crystal structure
Unit cell a=6.7080 b=6.7094 c=8.5603 alpha=66.95 beta=66.94 gamma=60.01
Space group P1 (No. 1)
One atom of each set of equivalent atoms:
Li (0.0000, 0.0000, 0.0000) [1 per cell]
Li (0.3453, 0.3449, 0.9645) [1 per cell]
In (0.1723, 0.1733, 0.4820) [1 per cell]
Bi (0.6725, 0.6723, 0.9825) [1 per cell]
Cl (0.0805, 0.3899, 0.7918) [1 per cell]
Cl (0.2646, 0.9546, 0.1731) [1 per cell]
Cl (0.3905, 0.7372, 0.7916) [1 per cell]
********

When people ask Ball State students like Maddie Carmel how she's doing, she replies, “Happy to have a job.”

“Having at least a little bit of schedule, working three hours, is still something really good for me,” said the junior elementary education major who works at Roots Burger Bar. “It’s better than nothing.”

Village businesses like Roots are among the few allowed to remain open only for carryout and delivery orders following Gov. Eric Holcomb’s executive order in response to the COVID-19 pandemic.

“I think it’s difficult on everybody. It’s not just restaurants,” said Scott Wise, Ball State alumnus and founder of Roots. “This is a pandemic that’s affecting almost every walk of life and every business, most that I know of.”

Nevertheless, Wise said he was grateful the state government has allowed restaurants and bars to be open — even if it means it’s only for carryout and delivery.

While his sales have taken a 30 to 40 percent hit, he said, he is “floored” by how much the community has tried to support small businesses like his.

He said there have been twice as many carryout orders than online delivery orders because people wish to get out of their house, the carryout orders have special discounts that can’t necessarily be available online or both.

“Through all of this, what I’ve seen is an incredible solidarity among Americans,” he said. “All of us are trying our hardest to support each other knowing that we’re all going through the same thing together.”

Under the tip line in customer’s receipts, Roots has included a section called “Employee Relief Fund” to encourage people to leave a little more money for its employees who are currently working.

“That’s the goal through all of this — it’s just to survive, to get through it, because I know at the other end, we will be a stronger community and a stronger restaurant because of everything we have fought through together,” Wise said.

The weekend before St. Patrick’s Day was the last time The Chug had a good number of people show up to the bar, said Phil Juskevice, the bar’s owner. By the Tuesday of St. Patrick’s Day, they had to close down due to the restriction on in-person dining.

For bars like The Chug that run strictly as an in-house business, adapting to the carryout-style model isn’t something that has been done before. One weekend, the bar only made $30 in sales. On it’s best day last week, the bar made $140 in sales, Juskevice said.

“We’ve always offered a small menu, but this is the small time we’ve actually offered a more in-depth menu — just trying to at least serve something within the realm that we can, something that hopefully customers will enjoy,” he said.

Juskevice said their current staff of two people, including himself, are working their hardest, pushing out specials on social media and anticipating the bar is going to get through the difficult time.

“We’re doing everything that we possibly can just to make sure that The Chug, which most people think is a Ball State and Muncie community staple, survives all this,” he said. “My hope is that everyone who can supports the small businesses at this point and helps us get through all of this.”

He said some alumni who live far from Muncie have already started buying gift cards for the bar in order to help keep the business going. He said business has been improving periodically each day, and social media is “really crucial” at this time to get information about specials out in the community.

“We feel the weight of the world on our shoulders right now because we feel an obligation to Ball State students — past, present and future — that they’re going to have their place to come back to,” Juskevice said. “We’ve had a lot of people that have met wives and husbands, and boyfriends and girlfriends and built relationships with their close friends here.”

For Ball State students, he said, The Chug is “more than just a business” and “more than just a bar.”

Records of crystals, as found in the file =
-- begin --
Structure and simulated XRD peak list of Nd5TmAl2 (the PBE geometry in Alexandria; Cu Ka).
Kinematic intensities with the Lorentz-polarization factor, no thermal factor.

Crystal structure
```
Nd5TmAl2
1.0
5.423 0.000 0.000
-2.712 4.697 0.000
0.000 0.000 20.052
Nd Tm Al
10 2 4
direct
0.000 0.000 0.155
0.000 0.000 0.345
0.000 0.000 0.655
0.000 0.000 0.845
0.333 0.667 0.054
0.333 0.667 0.250
0.333 0.667 0.446
0.667 0.333 0.554
0.667 0.333 0.750
0.667 0.333 0.946
0.333 0.667 0.750
0.667 0.333 0.250
0.333 0.667 0.602
0.333 0.667 0.898
0.667 0.333 0.102
0.667 0.333 0.398
```

Peak list (8 most intense, 10 to 80 degrees two-theta, sorted by position)
2θ = 23.15°, intensity 20, hkl 1 0 3
2θ = 26.00°, intensity 57, hkl 1 0 4
2θ = 29.28°, intensity 16, hkl 1 0 5
2θ = 32.89°, intensity 58, hkl 1 0 6
2θ = 33.03°, intensity 100, hkl 1 1 0
2θ = 47.31°, intensity 21, hkl 2 0 6
2θ = 57.13°, intensity 31, hkl 1 1 10
2θ = 58.95°, intensity 41, hkl 3 0 0

----------

Diffraction record for Pm5HoZn6. The powder X-ray diffraction pattern is computed, not measured: it uses DFT lattice parameters and positions (PBE) and Cu Kα X-rays.
Lines closer than 0.1° are merged.

Main lines, by intensity (2θ from 10° to 90°):
d [Å]	I/Imax
2.575	100
1.487	29
1.820	21
2.568	20
3.640	18
1.484	14
1.288	11
1.152	9

Cell and atoms:
Unit cell a=5.136 b=15.464 c=7.288 alpha=90.00 beta=90.00 gamma=90.00
Space group Cmmm (No. 65)
Asymmetric unit:
1 Pm 0.000 0.000 0.000 [2 per cell]
2 Pm 0.000 0.332 0.000 [4 per cell]
3 Pm 0.000 0.334 0.500 [4 per cell]
4 Ho 0.000 0.000 0.500 [2 per cell]
5 Zn 0.000 0.163 0.254 [8 per cell]
6 Zn 0.000 0.500 0.256 [4 per cell]

----------

[1]
Structure and theoretical powder XRD pattern of AgBH7C9N7F4 (a PBE-relaxed structure; Cu Kα (λ = 1.5418 Å)).
No peak broadening, texture or thermal motion is included.

Crystal structure
Cell lengths 5.481, 14.061, 7.393 Å; angles 90.00, 94.21, 90.00 degrees
Atoms (fractional coordinates):
Ag: 0.000 0.000 0.000
Ag: 0.000 0.500 0.000
B: 0.042 0.250 0.425
B: 0.958 0.750 0.575
H: 0.137 0.750 0.955
H: 0.184 0.054 0.389
H: 0.184 0.446 0.389
H: 0.252 0.637 0.330
H: 0.252 0.863 0.330
H: 0.421 0.638 0.754
H: 0.421 0.862 0.754
H: 0.579 0.138 0.246
H: 0.579 0.362 0.246
H: 0.748 0.137 0.670
H: 0.748 0.363 0.670
H: 0.816 0.554 0.611
H: 0.816 0.946 0.611
H: 0.863 0.250 0.045
C: 0.029 0.250 0.973
C: 0.325 0.020 0.318
C: 0.325 0.480 0.318
C: 0.331 0.171 0.849
C: 0.331 0.329 0.849
C: 0.356 0.576 0.291
C: 0.356 0.924 0.291
C: 0.470 0.564 0.754
C: 0.470 0.936 0.754
C: 0.530 0.064 0.246
C: 0.530 0.436 0.246
C: 0.644 0.076 0.709
C: 0.644 0.424 0.709
C: 0.669 0.671 0.151
C: 0.669 0.829 0.151
C: 0.675 0.520 0.682
C: 0.675 0.980 0.682
C: 0.971 0.750 0.027
N: 0.122 0.166 0.932
N: 0.122 0.334 0.932
N: 0.325 0.000 0.824
N: 0.325 0.500 0.824
N: 0.434 0.086 0.796
N: 0.434 0.414 0.796
N: 0.450 0.250 0.810
N: 0.550 0.750 0.190
N: 0.566 0.586 0.204
N: 0.566 0.914 0.204
N: 0.675 0.000 0.176
N: 0.675 0.500 0.176
N: 0.878 0.666 0.068
-- stop --

“It’s a place that students and the community look at [as] their place and something that for years, generations have come here, and talk about it and have memories,” Juskevice said. “Hopefully, we’ll make it through all of this to be able to provide all those memories for future generations.”

When Wise reached out to his staff at Roots about not requiring as many employees as usual due to the restaurant’s shortened hours for carryout and delivery, he said 25 percent of them had already left town.

Even if businesses are allowed to be up and running soon, Wise said the restaurant will need to hire an additional 10 percent more employees, especially because it usually has its patio opened during this time. He said plans have already started developing for this possibility.

“We’re going to open the doors and say, ‘We’re having open interviews. Come in. We need staff. We’re hiring,’” he said. “We will be ready to kind of take it and run with it.”

He said right now, it’s important to support those who don’t have jobs and are waiting for the economy to open up to get back to working and make money again.

“Until that happens, they don’t have the necessary funds to pay rent, to go get food, to get necessities, and that’s something we’re trying to do to help out,” he said.

Despite the difficult times, Wise said he “sees the glass as half full,” as he has been able to spend quality time, good and bad, with his wife and kids — working with them on homework daily, waking up with them and playing basketball.

“It’s a great testament to the American spirit, and what we’re all going through and the fact that we’re all surviving through it,” he said. “There is a light at the end of the tunnel, and we will make it through it.”

Despite juggling online classes and work, Carmel has an optimistic outlook on things as well.

“Just take it day by day,” she said. “That’s all we can do. Just be positive.”

Contact Rohith Rao with comments at or on Twitter @RaoReports.
